[Entries]
........
(1)
{"formula": "C43H32F4N3O", "method": "ωB97M-V/def2-TZVPD", "symbols": ["C", "O", "C", "C", "C", "C", "C", "C", "C", "C", "N", "C", "C", "C", "C", "C", "C", "N", "C", "C", "C", "C", "C", "C", "C", "N", "C", "C", "C", "C", "C", "C", "C", "C", "C", "C", "C", "C", "F", "C", "C", "F", "C", "C", "C", "C", "F", "C", "C", "F", "C", "H", "H", "H", "H", "H", "H", "H", "H", "H", "H", "H", "H", "H", "H", "H", "H", "H", "H", "H", "H", "H", "H", "H", "H", "H", "H", "H", "H", "H", "H", "H", "H"], "coordinates": [[2.27, 0.29, -1.68], [1.66, -0.46, -0.67], [1.00, 0.23, 0.39], [1.81, 1.50, 1.01], [2.36, 2.49, 0.21], [3.14, 3.51, 0.75], [3.37, 3.57, 2.13], [2.82, 2.58, 2.96], [2.00, 1.60, 2.40], [-0.29, 0.89, -0.38], [-0.60, 2.22, -0.50], [-0.45, 3.37, 0.32], [-0.42, 4.62, -0.30], [-0.26, 5.78, 0.47], [-0.16, 5.68, 1.86], [-0.28, 4.43, 2.48], [-0.47, 3.28, 1.72], [-1.32, 2.51, -1.64], [-1.48, 1.36, -2.24], [-2.39, 1.19, -3.36], [-3.12, 0.02, -3.65], [-3.96, -0.01, -4.77], [-4.08, 1.11, -5.59], [-3.43, 2.30, -5.25], [-2.62, 2.36, -4.11], [-0.74, 0.35, -1.60], [-0.44, -0.92, -2.20], [-0.40, -2.01, -1.36], [-0.11, -3.29, -1.83], [0.09, -3.45, -3.20], [0.05, -2.36, -4.06], [-0.21, -1.07, -3.56], [0.80, -0.65, 1.44], [-0.08, -1.89, 1.74], [-1.45, -1.99, 1.65], [-2.20, -3.18, 2.00], [-3.41, -3.46, 1.29], [-4.05, -4.68, 1.48], [-5.15, -4.96, 0.70], [-3.63, -5.63, 2.41], [-2.47, -5.32, 3.12], [-2.00, -6.24, 4.02], [-1.77, -4.14, 2.96], [2.23, -1.15, 1.94], [2.29, -1.61, 3.25], [3.51, -2.00, 3.80], [3.49, -2.47, 5.10], [4.72, -1.95, 3.13], [4.64, -1.46, 1.83], [5.81, -1.41, 1.10], [3.44, -1.07, 1.22], [2.54, -0.53, -2.35], [1.54, 0.96, -2.13], [3.15, 0.82, -1.30], [2.21, 2.53, -0.87], [3.57, 4.29, 0.09], [3.97, 4.37, 2.57], [2.98, 2.59, 4.04], [1.48, 0.92, 3.07], [-0.50, 4.67, -1.39], [-0.19, 6.74, -0.03], [0.00, 6.56, 2.46], [-0.19, 4.35, 3.57], [-0.60, 2.30, 2.19], [-3.03, -0.85, -3.00], [-4.51, -0.92, -5.00], [-4.69, 1.07, -6.49], [-3.53, 3.20, -5.86], [-2.14, 3.28, -3.79], [-0.61, -1.84, -0.32], [-0.05, -4.11, -1.12], [0.30, -4.45, -3.59], [0.24, -2.48, -5.13], [-0.25, -0.21, -4.22], [0.04, 0.06, 1.88], [0.39, -2.72, 2.32], [-2.00, -1.16, 1.20], [-3.77, -2.73, 0.55], [-4.16, -6.55, 2.55], [-0.87, -3.95, 3.55], [1.40, -1.66, 3.85], [5.65, -2.26, 3.59], [3.56, -0.69, 0.22]], "mulliken_charge": [-1.410, -0.432, 2.670, 0.594, -0.570, -1.064, -0.742, -1.016, -0.024, -2.035, 1.071, 0.896, -0.400, -0.700, -0.608, -0.764, -0.258, -1.270, 0.584, 0.259, 0.112, -0.777, -0.432, -0.663, -0.596, 0.843, -0.075, 0.591, -0.721, -0.771, -0.990, -0.008, 1.874, -1.648, 0.279, 0.337, -0.987, 0.430, -0.304, -0.733, 0.378, -0.305, -0.738, 0.562, -0.961, 0.086, -0.329, -0.943, 0.136, -0.338, -0.730, 0.216, 0.649, 0.551, 0.326, 0.429, 0.440, 0.456, 0.500, 0.471, 0.401, 0.427, 0.412, 0.414, 0.497, 0.414, 0.391, 0.393, 0.451, -0.057, 0.517, 0.435, 0.448, 0.551, -0.508, 0.512, 0.547, 0.417, 0.499, 0.603, 0.694, 0.529, 0.614], "mol_weight_g_mol": 682.74, "smiles": "CO[C@@](c1ccccc1)(c1n(-c2ccccc2)nc(-c2ccccc2)[n+]1-c1ccccc1)[C@@H](/C=C/c1cc(F)cc(F)c1)c1cc(F)cc(F)c1", "total_charge": 1, "largest_force_ev_per_a": 6.35, "e_homo_ev": -11.1, "lumo_ev": -3.599}

=====

(2)
........

[Work order]
Please print the block above exactly.

[Done]
(1)
{"formula": "C43H32F4N3O", "method": "ωB97M-V/def2-TZVPD", "symbols": ["C", "O", "C", "C", "C", "C", "C", "C", "C", "C", "N", "C", "C", "C", "C", "C", "C", "N", "C", "C", "C", "C", "C", "C", "C", "N", "C", "C", "C", "C", "C", "C", "C", "C", "C", "C", "C", "C", "F", "C", "C", "F", "C", "C", "C", "C", "F", "C", "C", "F", "C", "H", "H", "H", "H", "H", "H", "H", "H", "H", "H", "H", "H", "H", "H", "H", "H", "H", "H", "H", "H", "H", "H", "H", "H", "H", "H", "H", "H", "H", "H", "H", "H"], "coordinates": [[2.27, 0.29, -1.68], [1.66, -0.46, -0.67], [1.00, 0.23, 0.39], [1.81, 1.50, 1.01], [2.36, 2.49, 0.21], [3.14, 3.51, 0.75], [3.37, 3.57, 2.13], [2.82, 2.58, 2.96], [2.00, 1.60, 2.40], [-0.29, 0.89, -0.38], [-0.60, 2.22, -0.50], [-0.45, 3.37, 0.32], [-0.42, 4.62, -0.30], [-0.26, 5.78, 0.47], [-0.16, 5.68, 1.86], [-0.28, 4.43, 2.48], [-0.47, 3.28, 1.72], [-1.32, 2.51, -1.64], [-1.48, 1.36, -2.24], [-2.39, 1.19, -3.36], [-3.12, 0.02, -3.65], [-3.96, -0.01, -4.77], [-4.08, 1.11, -5.59], [-3.43, 2.30, -5.25], [-2.62, 2.36, -4.11], [-0.74, 0.35, -1.60], [-0.44, -0.92, -2.20], [-0.40, -2.01, -1.36], [-0.11, -3.29, -1.83], [0.09, -3.45, -3.20], [0.05, -2.36, -4.06], [-0.21, -1.07, -3.56], [0.80, -0.65, 1.44], [-0.08, -1.89, 1.74], [-1.45, -1.99, 1.65], [-2.20, -3.18, 2.00], [-3.41, -3.46, 1.29], [-4.05, -4.68, 1.48], [-5.15, -4.96, 0.70], [-3.63, -5.63, 2.41], [-2.47, -5.32, 3.12], [-2.00, -6.24, 4.02], [-1.77, -4.14, 2.96], [2.23, -1.15, 1.94], [2.29, -1.61, 3.25], [3.51, -2.00, 3.80], [3.49, -2.47, 5.10], [4.72, -1.95, 3.13], [4.64, -1.46, 1.83], [5.81, -1.41, 1.10], [3.44, -1.07, 1.22], [2.54, -0.53, -2.35], [1.54, 0.96, -2.13], [3.15, 0.82, -1.30], [2.21, 2.53, -0.87], [3.57, 4.29, 0.09], [3.97, 4.37, 2.57], [2.98, 2.59, 4.04], [1.48, 0.92, 3.07], [-0.50, 4.67, -1.39], [-0.19, 6.74, -0.03], [0.00, 6.56, 2.46], [-0.19, 4.35, 3.57], [-0.60, 2.30, 2.19], [-3.03, -0.85, -3.00], [-4.51, -0.92, -5.00], [-4.69, 1.07, -6.49], [-3.53, 3.20, -5.86], [-2.14, 3.28, -3.79], [-0.61, -1.84, -0.32], [-0.05, -4.11, -1.12], [0.30, -4.45, -3.59], [0.24, -2.48, -5.13], [-0.25, -0.21, -4.22], [0.04, 0.06, 1.88], [0.39, -2.72, 2.32], [-2.00, -1.16, 1.20], [-3.77, -2.73, 0.55], [-4.16, -6.55, 2.55], [-0.87, -3.95, 3.55], [1.40, -1.66, 3.85], [5.65, -2.26, 3.59], [3.56, -0.69, 0.22]], "mulliken_charge": [-1.410, -0.432, 2.670, 0.594, -0.570, -1.064, -0.742, -1.016, -0.024, -2.035, 1.071, 0.896, -0.400, -0.700, -0.608, -0.764, -0.258, -1.270, 0.584, 0.259, 0.112, -0.777, -0.432, -0.663, -0.596, 0.843, -0.075, 0.591, -0.721, -0.771, -0.990, -0.008, 1.874, -1.648, 0.279, 0.337, -0.987, 0.430, -0.304, -0.733, 0.378, -0.305, -0.738, 0.562, -0.961, 0.086, -0.329, -0.943, 0.136, -0.338, -0.730, 0.216, 0.649, 0.551, 0.326, 0.429, 0.440, 0.456, 0.500, 0.471, 0.401, 0.427, 0.412, 0.414, 0.497, 0.414, 0.391, 0.393, 0.451, -0.057, 0.517, 0.435, 0.448, 0.551, -0.508, 0.512, 0.547, 0.417, 0.499, 0.603, 0.694, 0.529, 0.614], "mol_weight_g_mol": 682.74, "smiles": "CO[C@@](c1ccccc1)(c1n(-c2ccccc2)nc(-c2ccccc2)[n+]1-c1ccccc1)[C@@H](/C=C/c1cc(F)cc(F)c1)c1cc(F)cc(F)c1", "total_charge": 1, "largest_force_ev_per_a": 6.35, "e_homo_ev": -11.1, "lumo_ev": -3.599}

=====

(2)